We are the universe dreaming of itself in different scenarios. We are the dreaming and the dreamer.
Everyday millions of people, pets, and nature live and thrive. Others do not. Have we ever stopped to wonder why?
Perhaps the answer lies in the idea that we are a dream. That the universe is dreaming and we are different aspects of the universe exploring different ways of being… like a child exploring snow for the first time. Perhaps the universe is a curious child wondering what it would be like to be a cat or dog, or a tree in the middle of a forest quietly feeling the breeze through its leaves and on its bark.
Perhaps everyone of us is a different part of one dreamer. That would make us the dreamer itself wouldn’t it?
I suspect that if we are the one dreaming and the dream it also means we have more control over our part of this illusion we call life. That we can change it in anyway we want to, the way dream walkers can control their dreams while sleeping.
Perhaps when we dream it is another layer of the universe exploring.
All of these statements of course are simply supposition.
Something to think about that might allow us to delve deeper into understanding of why we are here, and what we can do with the limitless time we have.

I say limitless because maybe even that is on our hands. If there is such a thing as conscious death, the ability to put enough energy into wanting to die that it manifests, then perhaps it is also possible to will ourselves to live as long as a redwood tree or longer?
It may seem silly to some, but to others it is an obvious statement. There is beauty in the cycles of life and the universe. Each time someone or something passes, it is an experience that it “documents” every time someone or something is birthed, even a creative project, it is duly noted by this child as something unique that it has created and is watching to see how it plays out.
What if this explains everything? Yes, that’s an absolute, but let’s just play for a second. What if the universe, this great big child wants to know what famine feels like, marriage, sex, breaking up, breaking down. It just wants to experiment.
And what if we are now waking up inside the dream? What if this is healers and energy workers mean by “the awakening” What if we now are becoming advanced enough to know we are dreaming? Doesn’t that mean we have more choice?
What if we have the power to say, “okay, but what if we did this another way” and the big child says. “Kool, let’s do it!”
We see higher powers as adults, god is the father, the goddess is a divine feminine mother figure. But what of the universe is just a wondereous wide eyed child, innocent and curious?
This gives us permission to play. This gives us permission to look at the world in a way that allows us the freedom to know we have a playmate that is willing to share its experiences and has limitless power to help us create any playscape we want.
Does this explain war? Do children not play with toy soldiers battling each other on a map made of foam?
We don’t need to have war, there are so many other ways to deal with conflict. But a curious child wondering what would happen if it put itself in these scenarios explains so much. And does it make this child reckless? Personally, I don’t think so. Because we are the universe by this theory, every time a death occurs, a sadness, a horror, the child experiences that pain too.
When I was little I was in a hardware store. I saw a bin full of mouse traps. I wondered what it was like for a mouse to get snapped by one. So being me, I set the trap and placed my finger in it. It almost broke my finger. The pain was excruciating, but the thought in my head was what that poor mouse would feel. I felt the dull physical pain of that experience for days after that. I still, to this day feel the emotional pain of that moment and refuse to use any type of trap with any creature.
Could we be curious beings by nature because the universe is? Because we are, by extension, the dream of the dreamer? I feel that could be a truth.
The universe wants to feel everything, In order to do that, it has to explore each birds wings opening for the first time to fly, a caterpillar changing in its cacoon. And each time different. A different moment, feeling, awakening.
**Calculated molecules, as found in the file**
+++
ORCA calculation (ωB97M-V/def2-TZVPD) on 6 unconnected molecules or ions with the total composition C54H120N6 in a non-equilibrium geometry.

Computed properties:
energy relative to the best compared isomer or geometry (same formula, charge and spin) = 5.1940 eV
gap between HOMO and LUMO = 8.11 eV
spin multiplicity = 1
charge = +6
energy = -66823.84308 eV
HOMO energy = -19.84 eV

CARTESIAN COORDINATES (ANGSTROEM)
C 4.797 11.660 -1.349
C 4.832 10.690 -2.546
C 4.009 9.386 -2.426
C 4.960 8.229 -2.086
N 4.292 6.860 -1.927
C 5.192 5.892 -1.197
C 4.252 4.715 -0.902
C 2.882 5.460 -0.759
C 3.136 6.986 -0.986
C 4.017 6.443 -3.368
H 5.591 12.356 -1.610
H 4.993 11.087 -0.442
H 3.853 12.193 -1.280
H 5.851 10.521 -2.891
H 4.309 11.221 -3.346
H 3.507 9.143 -3.363
H 3.257 9.558 -1.656
H 5.503 8.432 -1.158
H 5.756 8.106 -2.818
H 6.016 5.678 -1.877
H 5.591 6.413 -0.329
H 4.312 3.874 -1.592
H 4.505 4.235 0.045
H 2.052 5.158 -1.404
H 2.479 5.288 0.243
H 2.263 7.414 -1.462
H 3.492 7.417 -0.056
H 3.863 5.361 -3.423
H 4.959 6.561 -3.892
H 3.078 6.904 -3.647
C -5.985 2.406 4.420
C -5.963 1.999 2.909
C -5.298 3.064 1.993
C -5.272 2.512 0.578
N -4.669 3.506 -0.423
C -4.270 2.845 -1.746
C -3.063 3.617 -2.316
C -2.925 4.802 -1.349
C -3.407 4.199 0.002
C -5.694 4.626 -0.686
H -6.302 1.481 4.900
H -6.624 3.243 4.692
H -5.006 2.657 4.835
H -7.001 1.878 2.602
H -5.483 1.019 2.936
H -4.262 3.226 2.285
H -5.892 3.975 2.034
H -6.250 2.336 0.128
H -4.733 1.572 0.447
H -5.199 2.791 -2.308
H -3.880 1.863 -1.480
H -3.212 3.904 -3.361
H -2.168 3.006 -2.457
H -3.587 5.584 -1.709
H -1.914 5.202 -1.309
H -3.469 4.994 0.738
H -2.705 3.426 0.315
H -5.576 5.432 0.029
H -6.681 4.173 -0.659
H -5.484 4.977 -1.690
C 7.303 -4.829 -0.231
C 7.462 -5.202 1.257
C 6.545 -6.337 1.718
C 5.994 -6.162 3.118
N 4.892 -7.090 3.570
C 4.693 -7.077 5.099
C 4.459 -8.556 5.494
C 4.289 -9.310 4.174
C 5.224 -8.547 3.265
C 3.649 -6.749 2.777
H 7.931 -5.416 -0.892
H 7.542 -3.771 -0.360
H 6.221 -4.849 -0.393
H 7.236 -4.301 1.842
H 8.514 -5.359 1.499
H 7.152 -7.247 1.747
H 5.792 -6.538 0.951
H 5.606 -5.150 3.262
H 6.788 -6.274 3.857
H 3.821 -6.435 5.188
H 5.571 -6.678 5.599
H 3.535 -8.523 6.073
H 5.214 -9.021 6.119
H 3.271 -9.507 3.839
H 4.669 -10.321 4.336
H 5.167 -8.903 2.240
H 6.212 -8.698 3.704
H 3.652 -5.669 2.609
H 2.789 -7.013 3.385
H 3.636 -7.149 1.768
C -2.307 1.494 3.143
C -0.953 0.919 3.676
C 0.187 1.204 2.668
C 0.181 0.473 1.327
N 1.588 0.390 0.715
C 1.617 -0.168 -0.680
C 3.052 -0.609 -0.886
C 3.425 -1.240 0.475
C 2.433 -0.621 1.463
C 2.068 1.849 0.652
H -3.002 1.480 3.980
H -2.720 0.981 2.269
H -2.138 2.511 2.787
H -1.001 -0.094 4.065
H -0.720 1.580 4.513
H 1.114 1.056 3.229
H 0.185 2.284 2.519
H -0.481 0.976 0.617
H -0.263 -0.525 1.338
H 1.334 0.626 -1.372
H 0.858 -0.953 -0.692
H 3.661 0.265 -1.121
H 3.071 -1.223 -1.785
H 4.495 -1.067 0.588
H 3.380 -2.328 0.396
H 3.020 -0.065 2.194
H 1.775 -1.332 1.953
H 3.086 1.870 0.278
H 2.008 2.440 1.562
H 1.304 2.353 0.061
C -0.463 -3.023 -6.234
+++
And that’s where we are. Each of us is awakening. Differently. Each one being watched by a curious child’s eyes, and being that curious child. It’s why we are all connected. We the explorers, the creators, the dreamer and the dreamed.